Dropping Vanity Metrics
🎶 You’re so vain, you probably think these metrics are about you 🎶. Having just wrapped up a series about profitable R&D organizations, I realized there’s one added aspect that we need to cover, and that’s aligning your own personal sense of progress, achievement, and impact with actual business value. To do that, let’s quickly go over vanity metric pitfalls I see at startups regularly.
Note: If you find this interesting, do checkout my Profitable Engineering 101 package.
+++
The following is a GGA-PBE calculation of DyY2HoTm6 after structural relaxation, from Alexandria via LeMat-Bulk.

a = 8.9678 Å, b = 8.9678 Å, c = 8.7750 Å
α = 90.03°, β = 90.03°, γ = 117.87°
Atoms (fractional coordinates):
1 Dy 0.0585 0.9415 0.7500
2 Dy 0.9415 0.0585 0.2500
3 Y 0.1994 0.3018 0.5631
4 Y 0.3018 0.1994 0.0631
5 Y 0.6982 0.8006 0.9369
6 Y 0.8006 0.6982 0.4369
7 Ho 0.4412 0.5588 0.2500
8 Ho 0.5588 0.4412 0.7500
9 Tm 0.0308 0.4698 0.3149
10 Tm 0.0754 0.7775 0.0747
11 Tm 0.2225 0.9246 0.4253
12 Tm 0.2771 0.5739 0.9242
13 Tm 0.4261 0.7229 0.5758
14 Tm 0.4698 0.0308 0.8149
15 Tm 0.5302 0.9692 0.1851
16 Tm 0.5739 0.2771 0.4242
17 Tm 0.7229 0.4261 0.0758
18 Tm 0.7775 0.0754 0.5747
19 Tm 0.9246 0.2225 0.9253
20 Tm 0.9692 0.5302 0.6851

The following is a GGA-PBE calculation of DyY2Ho5Tm after structural relaxation, from Alexandria via LeMat-Bulk.

a = 10.2372 Å, b = 10.2372 Å, c = 10.5602 Å
α = 90.00°, β = 90.00°, γ = 148.41°
Atoms (fractional coordinates):
1 Dy 0.2011 0.7989 0.5000
2 Dy 0.7989 0.2011 0.0000
3 Y 0.1091 0.8909 0.2270
4 Y 0.1135 0.8865 0.8085
5 Y 0.8865 0.1135 0.3085
6 Y 0.8909 0.1091 0.7270
7 Ho 0.0194 0.9806 0.5148
8 Ho 0.2828 0.7172 0.7960
9 Ho 0.3000 0.7000 0.1970
10 Ho 0.3920 0.6080 0.5121
11 Ho 0.4796 0.5204 0.2286
12 Ho 0.5204 0.4796 0.7286
13 Ho 0.6080 0.3920 0.0121
14 Ho 0.7000 0.3000 0.6970
15 Ho 0.7172 0.2828 0.2960
16 Ho 0.9806 0.0194 0.0148
17 Tm 0.4128 0.5872 0.9490
18 Tm 0.5872 0.4128 0.4490

The following is a GGA-PBE calculation of DyYHoTm after structural relaxation, from Alexandria via LeMat-Bulk.

Results
E above lowest polymorph: 114 meV per atom

a = 7.9794 Å, b = 7.9794 Å, c = 7.9794 Å
α = 90.00°, β = 90.00°, γ = 90.00°
Atoms (fractional coordinates):
1 Dy 0.0000 0.0000 0.0000
2 Dy 0.0000 0.5000 0.5000
3 Dy 0.5000 0.0000 0.5000
4 Dy 0.5000 0.5000 0.0000
5 Y 0.0000 0.0000 0.5000
6 Y 0.0000 0.5000 0.0000
7 Y 0.5000 0.0000 0.0000
8 Y 0.5000 0.5000 0.5000
9 Ho 0.2500 0.2500 0.7500
10 Ho 0.2500 0.7500 0.2500
11 Ho 0.7500 0.2500 0.2500
12 Ho 0.7500 0.7500 0.7500
13 Tm 0.2500 0.2500 0.2500
14 Tm 0.2500 0.7500 0.7500
15 Tm 0.7500 0.2500 0.7500
16 Tm 0.7500 0.7500 0.2500

| no. | total magnetization (μB/atom) | DFT formation energy (meV per atom) | total energy (eV/atom) |
| --- | --- | --- | --- |
| 1 | 0.000 | 131 | -4.7631 |
| 2 | 0.000 | 152 | -4.8358 |
| 3 | 0.001 | 139 | -4.8894 |
+++
What You Measure Gets Managed
You know the saying, we have to measure something to improve it. Yeah, that makes sense. But let’s turn that around. You might be measuring the wrong things, meaning you’re focusing on things that are not helpful or managing them so well it is to your detriment. Therefore, try to keep yourself honest and aware of what you’re optimizing for.
Here are some examples of bad metrics:
- Number of pull-requests: Let’s start with something basic. Some “engineering velocity” tools make teams focus on things that are wholly useless. I saw teams bragging about having improved their number of PRs each sprint. Did it necessarily amount to better results? No, just extra overhead as people became dogmatic about splitting everything into lots of different PRs, increasing overhead needlessly. Don’t get me started about those who don’t need to work to get to higher numbers because their uselessly complex microservices architecture requires a dozen repos to be touched for any change.
_Materials data that have nothing to do with the text_
'''
# 1
The following is a GGA-PBE calculation of crystalline Sm3Cd3Pd2Au at its relaxed geometry, from OQMD via LeMat-Bulk.

Results
- energy of formation (eV/f.u.) = -6.09
- raw total energy (eV/cell) = -36.53
- total moment (μB/f.u.) = 0.01
- symmetry = P-62m

a b c (Å): 7.757 7.757 3.991
angles (deg): 90.00 90.00 120.00
Sites, in units of the cell vectors:
Au 0.000 0.000 0.500
Pd 0.333 0.667 0.000
Pd 0.667 0.333 0.000
Sm 0.592 0.592 0.500
Sm 0.000 0.408 0.500
Sm 0.408 0.000 0.500
Cd 0.262 0.262 0.000
Cd 0.000 0.738 0.000
Cd 0.738 0.000 0.000

# 2
The following is a GGA-PBE calculation of crystalline TaCdPdAu at its relaxed geometry, from OQMD via LeMat-Bulk.

Results
- energy of formation (eV/f.u.) = 0.32
- raw total energy (eV/cell) = -20.87
- total moment (μB/f.u.) = 0.00
- symmetry = F-43m
- ΔE to the lowest computed polymorph (meV per atom) = 160

a b c (Å): 4.626 4.626 4.626
angles (deg): 60.00 60.00 60.00
Sites, in units of the cell vectors:
Au 0.750 0.750 0.750
Ta 0.250 0.250 0.250
Cd 0.000 0.000 0.000
Pd 0.500 0.500 0.500

# 3
The following is a GGA-PBE calculation of crystalline TaCdPdAu at its relaxed geometry, from OQMD via LeMat-Bulk.

Results
- energy of formation (eV/f.u.) = 0.22
- raw total energy (eV/cell) = -20.97
- total moment (μB/f.u.) = 0.00
- symmetry = F-43m
- ΔE to the lowest computed polymorph (meV per atom) = 137

a b c (Å): 4.623 4.623 4.623
angles (deg): 60.00 60.00 60.00
Sites, in units of the cell vectors:
Pd 0.500 0.500 0.500
Ta 0.000 0.000 0.000
Au 0.750 0.750 0.750
Cd 0.250 0.250 0.250

# 4
The following is a GGA-PBE calculation of crystalline TaCdPdAu at its relaxed geometry, from OQMD via LeMat-Bulk.

Results
- energy of formation (eV/f.u.) = -0.33
- raw total energy (eV/cell) = -21.52
- total moment (μB/f.u.) = 0.00
- symmetry = F-43m
- ΔE to the lowest computed polymorph (meV per atom) = 0

a b c (Å): 4.640 4.640 4.640
angles (deg): 60.00 60.00 60.00
Sites, in units of the cell vectors:
Cd 0.500 0.500 0.500
Au 0.750 0.750 0.750
Ta 0.000 0.000 0.000
Pd 0.250 0.250 0.250

# 5
The following is a GGA-PBE calculation of crystalline PmCd2Au4 at its relaxed geometry, from OQMD via LeMat-Bulk.

Results
- energy of formation (eV/f.u.) = -3.49
- raw total energy (eV/cell) = -23.09
- total moment (μB/f.u.) = 0.00
- symmetry = I4/mmm

a b c (Å): 5.827 5.827 5.827
angles (deg): 103.25 103.25 122.79
Sites, in units of the cell vectors:
Cd 0.750 0.250 0.500
Cd 0.250 0.750 0.500
Au 0.304 0.304 0.608
Au 0.304 0.696 0.000
Au 0.696 0.696 0.392
Au 0.696 0.304 0.000
Pm 0.000 0.000 0.000

# 6
The following is a GGA-PBE calculation of crystalline PrCd2Au2 at its relaxed geometry, from OQMD via LeMat-Bulk.

Results
- energy of formation (eV/f.u.) = -2.55
- raw total energy (eV/cell) = -15.65
- total moment (μB/f.u.) = 0.00
- symmetry = I4/mmm
- ΔE to the lowest computed polymorph (meV per atom) = 0

a b c (Å): 7.192 7.192 7.192
angles (deg): 145.79 145.79 49.16
Sites, in units of the cell vectors:
Cd 0.750 0.250 0.500
'''
_Here the text continues_
- Headcount: Perhaps not as popular as it used to be during the 2021 high times, it’s still something I hear mentioned in many executives’ measures of success. I’d always rather a small but impactful team over a larger team that’s not getting results done. See more about profitable organizational structure here.
- People never quit: Or, perhaps “we never had to fire anyone.” Similar sayings might sound nice, but in fact, what they’re making is encouraging leaders to contort the organization to fit people long after it no longer makes sense. Your founding team might not be the best to lead an IPO-ed startup. Never firing anyone means you’re letting people stay even when they’re not the right ones for the job or are so risk-averse in hiring that you’re never staffing positions.
- Hitting 100% of goals: Don’t get me started about this. If it happens occasionally, that could be a great win. But if this becomes your expected mode of operation? It just means there are too many layers of buffers padding your plans and no innovation, creativity, or stretching done. Don’t lower the bar so far that it’s too easy to reach.
- Seniority of staff: Oh, I like this one. Are you one of those touting a team full of seniors? The truth is that years of experience are not always a good yardstick for productivity. Moreover, doing so means you’re losing out on the ability to onboard great rising talents and help shape them to fit your company. It’s sort of like the sports team manager who is outbidding everyone else to draft top people.
- Needlessly high bars: For example, you might be demanding so many “nines” of availability from your system because that’s what “you’re supposed to do.” However, when considering it seriously, you’re just working on a B2B SaaS that doesn’t supply real-time results and could very easily have more lax demands that would enable your team to focus on things that actually matter to users. Too much of a good thing, you know?
Take Control
Instead of following these metrics that are fun to boast about on LinkedIn, take the time to consider what metrics would actually move the needle in your specific case. What’s required of your team to help push things forward and enable business success?
I think there’s something very freeing and energizing about pushing aside “common metrics” and doing more contrarian and special things. These can really rally a team around something and help create something unique. If you intend to build a team worth leading, make sure to use your own measures of success and not anyone else’s.
Note: If you find this interesting, do checkout my Profitable Engineering 101 package.
********
1.
This record from Alexandria describes a PBEsol-optimized structure of Zn2InBr. The functional is meta-GGA SCAN.

- Energy above the most stable polymorph in this dataset: 235 meV per atom
- Formation energy without anion corrections: 253 meV per atom
- D(E_F): 0.31 states/eV/cell
- SG: Fm-3m (225)
- Volume: 91.6 Å³/f.u.

Cell lengths 5.0595, 5.0595, 5.0595 Å; angles 60.00, 60.00, 60.00 degrees
Last column: nearest neighbours and their distance in Å.
Sites, in units of the cell vectors:
Br  0.0000  0.0000  0.0000  8 Zn 3.10
Zn  0.7500  0.7500  0.7500  4 Br 3.10, 4 In 3.10
In  0.5000  0.5000  0.5000  8 Zn 3.10
Zn  0.2500  0.2500  0.2500  4 In 3.10, 4 Br 3.10

***

2.
This record from Alexandria describes a PBEsol-optimized structure of Be2Cd. The functional is meta-GGA SCAN.

- Formation energy: 0.21 eV per atom
- D(E_F): 0.72 states/eV/cell
- SG: Fd-3m (227)
- Volume: 35.6 Å³/f.u.

Cell lengths 4.6530, 4.6530, 4.6530 Å; angles 60.00, 60.00, 60.00 degrees
Last column: nearest neighbours and their distance in Å.
Sites, in units of the cell vectors:
Be  0.6250  0.1250  0.1250  6 Be 2.33
Cd  0.7500  0.7500  0.7500  12 Be 2.73, 4 Cd 2.85
Be  0.1250  0.6250  0.1250  6 Be 2.33
Cd  0.5000  0.5000  0.5000  12 Be 2.73, 4 Cd 2.85
Be  0.1250  0.1250  0.1250  6 Be 2.33
Be  0.1250  0.1250  0.6250  6 Be 2.33

***

3.
This record from Alexandria describes a PBEsol-optimized structure of ScNb2AlCu. The functional is meta-GGA SCAN.

- Formation energy: 1.64 eV per atom
- D(E_F): 2.95 states/eV/cell
- SG: P4/mmm (123)
- Volume: 104.4 Å³/f.u.

Cell lengths 4.6081, 4.6081, 4.9164 Å; angles 90.00, 90.00, 90.00 degrees
Last column: nearest neighbours and their distance in Å.
Sites, in units of the cell vectors:
Sc  0.0000  0.0000  0.0000  4 Nb 2.30, 2 Al 2.46
Nb  0.0000  0.5000  0.0000  2 Sc 2.30
Cu  0.5000  0.5000  0.5000  4 Al 3.26, 8 Nb 3.37
Al  0.0000  0.0000  0.5000  2 Sc 2.46
Nb  0.5000  0.0000  0.0000  2 Sc 2.30

***

4.
This record from Alexandria describes a PBEsol-optimized structure of RbCaMn2Cr. The functional is meta-GGA SCAN.

- Formation energy: 0.58 eV per atom
- D(E_F): 2.89 states/eV/cell
- SG: P4/mmm (123)
- Volume: 123.5 Å³/f.u.

Cell lengths 4.7003, 4.7003, 5.5905 Å; angles 90.00, 90.00, 90.00 degrees
Last column: nearest neighbours and their distance in Å.
Sites, in units of the cell vectors:
Mn  0.5000  0.0000  0.0000  2 Cr 2.35
Rb  0.5000  0.5000  0.5000  4 Ca 3.32, 8 Mn 3.65
Cr  0.0000  0.0000  0.0000  4 Mn 2.35
Mn  0.0000  0.5000  0.0000  2 Cr 2.35
Ca  0.0000  0.0000  0.5000  2 Cr 2.80

***

5.
This record from Alexandria describes a PBEsol-optimized structure of Hg2PSe. The functional is meta-GGA SCAN.

- Formation energy without anion corrections: 714 meV per atom
- D(E_F): 3.23 states/eV/cell
- SG: Fm-3m (225)
- Volume: 81.4 Å³/f.u.

Cell lengths 4.8638, 4.8638, 4.8638 Å; angles 60.00, 60.00, 60.00 degrees
Last column: nearest neighbours and their distance in Å.
Sites, in units of the cell vectors:
Se  0.5000  0.5000  0.5000  8 Hg 2.98
********
© Aviv Ben-Yosef 2024 — Originally published on the best newsletter for tech executives